Alternative Uses for CDs

Monday, March 3, 2008

You know that you can use CDs for anything, including a coaster or a great Frisbee.  However, CDs don't just have to be used in the music realm or for an extra accessory around the house.  If you want other creative uses for putting together a CD, you can look at some of these trends and options. 

Between two parts of the page: calculated crystals =
=====
This entry pairs a crystal structure of PuMnPbO5 with its calculated X-ray diffraction stick pattern. Radiation: Cu Kα (weighted mean of Kα1 and Kα2). Structure: a PBE+U-relaxed structure.

Cell and atoms:
```
PuMnPbO5
1.0
3.688 -4.938 0.000
3.688 4.938 0.000
-3.613 0.000 7.265
Pu Mn Pb O
2 2 2 10
Direct
0.000 0.500 0.000
0.500 0.000 0.500
0.057 0.943 0.750
0.943 0.057 0.250
0.441 0.559 0.750
0.559 0.441 0.250
0.139 0.749 0.907
0.207 0.304 0.904
0.251 0.861 0.593
0.304 0.207 0.404
0.318 0.682 0.250
0.682 0.318 0.750
0.696 0.793 0.596
0.749 0.139 0.407
0.793 0.696 0.096
0.861 0.251 0.093
```

Most intense lines, 2θ from 5° to 70°, low angle first:
16.2 deg, I = 82; 23.7 deg, I = 100; 27.2 deg, I = 71; 30.4 deg, I = 89; 30.6 deg, I = 76; 32.6 deg, I = 50; 34.5 deg, I = 25; 50.2 deg, I = 39; 51.4 deg, I = 28; 56.2 deg, I = 26
=====

Business Cards.  Whether you are a musician, entrepreneur or business owner, business cards are a great way to introduce yourself on CD.  Not only does it allow for you to have an outer presence and set of information that someone can just look at, but will also allow you to put together a presentation that individuals can use to get more information or to sign up with one of your products or services.

Sales.  CDs are not only being used as business cards, but also as options for promoting sales of different types.  Several companies are now specializing in marketing for CDs with options such as CDs for trade shows, corporate gifts, special events, promotions, direct response and to advertise new products.  This combination of sales features that can be used with CDs is helping to take the forefront for a new way to present information to potential customers. 

Presentations.  From data to Powerpoint, presentations can be a great use for CDs and duplication.  If you just need one, you can count on it working in almost any type of technology.  However, if you want to get creative, you can set your notes and data on extra CDs through duplication so that others who are there have a keep sake of your knowledge and information. 

Imagery or Visualization.  While most of this will take place on a DVD format, you can also use CD formats to do certain types of imagery on a CD.  If you have a certain project, think of adding on images to enhance your presentation or to allow certain key points to be a part of the presentation.  This will allow those who know you to have an extra tool to look at outside of seeing you. 

Books on CD.  This is a growing and popular option for CDs.  Whether you want to listen to your favorite book in the car or are looking for a way to mass produce speaking options, CD duplication can help you to put together books that are heard and not read. 

Weddings, gatherings and thank yous.  Another popular option being used by newly weds, families and those who are putting together parties is as a keepsake.  Weddings are often times duplicated on CD to send as thank yous, as well as other options, such as parties or special occasions.  This is a simple keepsake that can be duplicated for everyone you mean to tell something to, but don't have the time for. 

These are only a few of several options for CDs so that you can present what you want to in a different light.  If you don't have music, but want to present something a little differently, finding options with CD duplication and presentations is an easy way to let others know about something.  Not only does it allow you to create a presentation in a different format, but also allows you to put together a mixed media format for those who are interested in the details of what you have to say.